**Wanted**
The reader should count the lines further down that contain the word "elements" and give the number alone.

**Listing**
........
Compound: Ba2LiV2Si4O14
Source: Materials Project
Functional: GGA+U
Structure: relaxed

Lattice parameters (Å, degrees): 5.526 7.277 8.116 91.56 108.57 87.42
Element x y z (fractional)
O 0.872 0.565 0.295
O 0.984 0.744 0.941
O 0.937 0.945 0.298
O 0.384 0.747 0.729
O 0.478 0.961 0.354
O 0.518 0.501 0.993
O 0.018 0.264 0.003
O 0.130 0.431 0.703
O 0.628 0.058 0.740
O 0.133 0.055 0.716
O 0.615 0.430 0.694
O 0.375 0.563 0.278
O 0.504 0.968 0.027
O 0.643 0.255 0.253
Ba 0.824 0.742 0.610
Ba 0.208 0.278 0.399
Si 0.596 0.478 0.202
Si 0.421 0.969 0.816
Si 0.411 0.519 0.786
Si 0.638 0.024 0.232
Li 0.263 0.889 0.473
V 0.911 0.246 0.791
V 0.047 0.720 0.161

Formation energy from the elements = -2.965 eV per atom
E_tot = -7.394 eV per atom

Compound: CrAs2O7
Source: Materials Project
Functional: GGA+U
Structure: relaxed

Lattice parameters (Å, degrees): 9.017 7.058 9.415 73.92 90.00 90.00
Element x y z (fractional)
As 0.700 0.975 0.962
As 0.750 0.585 0.764
As 0.200 0.025 0.538
As 0.800 0.975 0.462
As 0.250 0.415 0.736
As 0.300 0.025 0.038
As 0.750 0.585 0.264
As 0.250 0.415 0.236
O 0.828 0.756 0.599
O 0.756 0.362 0.726
O 0.417 0.019 0.180
O 0.165 0.376 0.093
O 0.917 0.981 0.320
O 0.328 0.244 0.901
O 0.175 0.837 0.454
O 0.054 0.378 0.742
O 0.665 0.624 0.407
O 0.256 0.638 0.774
O 0.825 0.163 0.546
O 0.880 0.014 0.888
O 0.244 0.638 0.274
O 0.120 0.986 0.112
O 0.583 0.981 0.820
O 0.672 0.756 0.099
O 0.083 0.019 0.680
O 0.554 0.622 0.758
O 0.380 0.986 0.612
O 0.675 0.163 0.046
O 0.446 0.378 0.242
O 0.172 0.244 0.401
O 0.946 0.622 0.258
O 0.744 0.362 0.226
O 0.620 0.014 0.388
O 0.335 0.376 0.593
O 0.835 0.624 0.907
O 0.325 0.837 0.954
Cr 0.423 0.805 0.788
Cr 0.077 0.805 0.288
Cr 0.923 0.195 0.712
Cr 0.577 0.195 0.212

Formation energy from the elements = -1.596 eV per atom
E_tot = -6.276 eV per atom

Compound: Sr4La2Mn3Ir3O18
Source: Materials Project
Functional: GGA+U
Structure: relaxed

Lattice parameters (Å, degrees): 5.672 5.672 13.837 90.00 90.00 120.00
Element x y z (fractional)
O 0.836 0.673 0.090
O 0.498 0.502 0.751
O 0.498 0.995 0.751
O 0.840 0.680 0.587
O 0.327 0.164 0.090
O 0.836 0.164 0.090
O 0.005 0.502 0.751
O 0.164 0.327 0.910
O 0.164 0.836 0.910
O 0.502 0.498 0.249
O 0.995 0.498 0.249
O 0.673 0.836 0.910
O 0.840 0.160 0.587
O 0.680 0.840 0.413
O 0.160 0.840 0.413
O 0.320 0.160 0.587
O 0.160 0.320 0.413
O 0.502 0.005 0.249
La 0.000 0.000 0.251
La 0.000 0.000 0.749
Ir 0.000 0.000 0.500
Ir 0.667 0.333 0.165
Ir 0.333 0.667 0.835
Mn 0.333 0.667 0.334
Mn 0.000 0.000 0.000
Mn 0.667 0.333 0.666
Sr 0.667 0.333 0.915
Sr 0.333 0.667 0.584
Sr 0.333 0.667 0.085
Sr 0.667 0.333 0.416

Formation energy from the elements = -2.380 eV per atom
E_tot = -7.124 eV per atom

Compound: MgW4O12
Source: Materials Project
........

**Response**
3